MQTT Sparkplug: Bridging IT and OT in Industry 4.0

Industrial companies are always looking to improve their competitiveness in terms of productivity, profitability, flexibility, quality, and agility. Most of them will use Industry 4.0 technologies to solve this problem. By investing more in the digital transformation of the factory, they want to achieve a high level of automation, better product quality tracking records, production scale-up, and sustainable development for the organizations. But before they go any further in budgeting, they should take a step back and consider whether their factory's IT and OT infrastructure can support a large number of additional new systems and equipment. This is an important consideration that most companies ignore.

At the heart of Industry 4.0 is the IIoT, which enables factories to connect their machines, sensors, robots, and other devices to the Internet and each other. One of the key challenges in implementing the IIoT is choosing the right communication standard that can meet the demands of Industry 4.0. MQTT Sparkplug is a communication protocol designed specifically for IIoT, and in this blog, we will dive into MQTT Sparkplug and see what it brings to Industry 4.0.

Beyond SCADA: Consolidating Your OT With an IIoT Platform

/*
## LiGdSe2 (meta-GGA r2SCAN)

Data for an optimized crystal structure of LiGdSe2.

```
4
Lattice="-0.686 -4.818 -4.868 0.519 -6.713 -1.433 -3.416 -5.658 -1.922" Properties=species:S:1:pos:R:3 pbc="T T T"
Li -1.791 -8.595 -4.111
Gd 0.000 0.000 0.000
Se -2.693 -12.920 -6.180
Se -0.890 -4.269 -2.042
```

Calculated values
- space group = R-3m (166)
- calculated volume (Å³/atom) = 23.561


## HoMg2Sc (meta-GGA r2SCAN)

Data for an optimized crystal structure of HoMg2Sc.

```
4
Lattice="-4.415 0.505 -2.721 -3.612 3.439 1.510 -0.844 4.299 -2.821" Properties=species:S:1:pos:R:3 pbc="T T T"
Sc 0.000 0.000 0.000
Mg -6.653 6.182 -3.024
Mg -2.218 2.061 -1.008
Ho -4.435 4.122 -2.016
```

Calculated values
- space group = Fm-3m (225)
- calculated volume (Å³/atom) = 25.008


## HoSnGe (meta-GGA r2SCAN)

Data for an optimized crystal structure of HoSnGe.

```
6
Lattice="2.106 -8.268 0.000 2.106 8.268 0.000 0.000 0.000 4.028" Properties=species:S:1:pos:R:3 pbc="T T T"
Ho 2.106 -6.696 3.021
Ho 2.106 6.696 1.007
Ge 2.106 0.842 1.007
Ge 2.106 -0.842 3.021
Sn 2.106 4.003 3.021
Sn 2.106 -4.003 1.007
```

Calculated values
- space group = Cmcm (63)
- calculated volume (Å³/atom) = 23.374


## ThP2 (meta-GGA r2SCAN)

Data for an optimized crystal structure of ThP2.

```
12
Lattice="-1.571 1.944 2.948 -1.811 -6.263 3.163 8.285 -0.125 4.496" Properties=species:S:1:pos:R:3 pbc="T T T"
P 0.218 -2.014 2.710
P 3.314 -2.199 4.482
P 4.104 0.724 5.509
P 0.799 -5.168 5.099
P 5.908 -5.383 7.963
P -1.005 0.939 2.645
P 4.685 -2.430 7.898
P 1.589 -2.245 6.126
Th 3.572 -4.604 6.205
Th 1.331 0.160 4.403
Th -1.176 -2.947 5.116
Th 6.079 -1.497 5.492
```

Calculated values
- space group = Pnma (62)
- calculated volume (Å³/atom) = 22.003


| no. | M_tot (μB per atom) | calculated formation energy (eV per atom) |
| --- | --- | --- |
| 1 | 1.75 | -1.9264 |
| 2 | 0.00 | -0.0555 |
| 3 | 0.00 | -0.6617 |
| 4 | 0.00 | -1.2195 |


# 1
An optimized crystal structure of Er12In3Fe2. Source: the Materials Project database, functional GGA-PBE.

Cell and atoms, written as CIF:
```
data_Er12In3Fe2
_space_group_name_H-M_alt 'I 4/m m m'
_space_group_IT_number 139
_space_group_name_Hall '-I 4 2'
_cell_length_a 9.476
_cell_length_b 9.476
_cell_length_c 9.733
_cell_angle_alpha 90.00
_cell_angle_beta 90.00
_cell_angle_gamma 90.00
loop_
_atom_site_label
_atom_site_type_symbol
_atom_site_fract_x
_atom_site_fract_y
_atom_site_fract_z
_atom_site_occupancy
Er1 Er 0.000 0.248 0.207 1
Er2 Er 0.194 0.194 0.500 1
In1 In 0.000 0.000 0.000 1
In2 In 0.000 0.500 0.000 1
Fe1 Fe 0.000 0.000 0.388 1
```

# 2
An optimized crystal structure of ErTiFe11N. Source: the Materials Project database, functional GGA-PBE.

Cell and atoms, written as CIF:
```
data_ErTiFe11N
_space_group_name_H-M_alt 'I m m 2'
_space_group_IT_number 44
_cell_length_a 4.778
_cell_length_b 8.618
_cell_length_c 8.547
_cell_angle_alpha 90.00
_cell_angle_beta 90.00
_cell_angle_gamma 90.00
loop_
_space_group_symop_operation_xyz
'x,y,z'
'-x,-y,z'
'-x,y,z'
*/

Industrial enterprises use SCADA as a process control system to monitor data acquisition processes and oversee various related workflows. The data coming from OT devices is taken in by SCADA systems and integrated into the SCADA ecosystem as applications covering a range of use cases for the shop floor. So why does an industrial IoT platform still make sense here? 

One downside of SCADA is that these systems are not made for rapid scaling. They do not accommodate change so easily. Most of the time, the processes are slow and inflexible. Further, the data collection processes, though robust, have their limitations. They are usually only suited for monitoring, supervision, and sending out alerts at best. More sophisticated analytics or use cases based on machine learning are out of reach. 

How Do CRDTs Solve Distributed Data Consistency Challenges?

This is an article about the complexity of maintaining data consistency in distributed environments. It introduces conflict-free replicated data types (CRDTs) as a way to resolve concurrent data changes.

Common Data Consistency Challenges

Consider a situation where there are several distributed entities that each hold a copy of the same data. Data consistency is maintained if those copies continue to match each other, even when one or more of them are updated.

Is Blockchain Tech the Solution to IIoT Security Dilemmas?

Digital transformation and the convergence of IT and OT in the industrial space have resulted in considerable challenges in securing infrastructures. This includes power grids, nuclear power plants, oil rigs, Supervisory Control and Data Acquisition (SCADA) systems, and machinery in factories and locations that traditionally have enjoyed security by obscurity. 

While IoT provides critical data insights, it also means systems are vulnerable to cyberattacks, and network-level protection is not enough. Working with data brings significant challenges, from data generation, transportation, and storage to controlling data access, analytics, and sharing amongst multiple parties. To deal with these challenges, organizations need new tools, processes, and cybersecurity architectures. 

How to Build Scalable, Stateful Java Services in Under 15 Minutes

Five years ago when I started tracking media buzz around stateful architectures, I’d see a few articles every month about running stateful containers. That's about when Caitie McCaffrey first shared this awesome presentation about building scalable stateful architectures. Since then, the dominant software paradigm has become functional application design. The actor model and other object-oriented paradigms are still in use, but database-centric RESTful architectures are standard means of building web applications today.

However, the tides are beginning to shift. Due to innovations like the blockchain, growing demand for real-time applications, the digitization of OT assets, and the proliferation of cheap compute resources at the network edge; there’s renewed interest in decentralized application architectures. As such, there’s also been increased focus on stateful applications. For example, at least five Apache Foundation projects (Beam, Flink, Spark, Samza, and TomEE) are touting statefulness as a benefit today. Modern applications communicate across multiple application silos and must span real-world machines, devices, and distributed data centers around the world. Stateful application architectures provide a way to abstract away the logistical effort of state management, thereby reducing development and management effort necessary to operate massive-scale distributed applications.

Build a Scalable, Stateful To-Do List in 15 Minutes or Less

For the rest of this post, I want to disprove the notion that building scalable, stateful applications is a task too complex for everyday Java developers. In order to illustrate how easily a stateful application can be setup, we’ll walk through a tutorial for building a simple to-do list using the Swim platform. You can find all the source code for the to-do list tutorial here on GitHub.